Material >
- - -
Entry 1:
Density functional theory data (GGA+U) for a relaxed structure of Cr2OF2.

Geometry as CIF:
```
data_Cr2OF2
_chemical_formula_sum 'Cr8 O4 F8'
_space_group_name_H-M_alt 'I 41/a m d'
_space_group_IT_number 141
_cell_length_a 6.056
_cell_length_b 6.056
_cell_length_c 10.833
_cell_angle_alpha 90.00
_cell_angle_beta 90.00
_cell_angle_gamma 90.00
loop_
_space_group_symop_operation_xyz
'x,y,z'
'-x,-y,-z'
'-y+1/4,x+3/4,z+1/4'
'y+1/4,-x+3/4,-z+1/4'
'-x+1/2,-y,z+1/2'
'x+1/2,y,-z+1/2'
'y+1/4,-x+1/4,z+3/4'
'-y+1/4,x+1/4,-z+3/4'
'x,-y,-z'
'-x,y,z'
'-y+1/4,-x+1/4,-z+3/4'
'y+1/4,x+1/4,z+3/4'
'-x+1/2,y,-z+1/2'
'x+1/2,-y,z+1/2'
'y+1/4,x+3/4,-z+1/4'
'-y+1/4,-x+3/4,z+1/4'
'x+1/2,y+1/2,z+1/2'
'-x+1/2,-y+1/2,-z+1/2'
'-y+3/4,x+1/4,z+3/4'
'y+3/4,-x+1/4,-z+3/4'
'-x,-y+1/2,z'
'x,y+1/2,-z'
'y+3/4,-x+3/4,z+1/4'
'-y+3/4,x+3/4,-z+1/4'
'x+1/2,-y+1/2,-z+1/2'
'-x+1/2,y+1/2,z+1/2'
'-y+3/4,-x+3/4,-z+1/4'
'y+3/4,x+3/4,z+1/4'
'-x,y+1/2,-z'
'x,-y+1/2,z'
'y+3/4,x+1/4,-z+3/4'
'-y+3/4,-x+1/4,z+3/4'
loop_
_atom_site_label
_atom_site_fract_x
_atom_site_fract_y
_atom_site_fract_z
Cr1 0.000 0.000 0.000
O1 0.000 0.250 0.875
F1 0.000 0.250 0.123
```

The value obtained for the energy above the most stable polymorph in this dataset is 0.01 eV/f.u. Its MP2020-corrected energy is -160.21 eV/cell. Its crystal system is tetragonal. As for the formation enthalpy at 0 K: -2.394 eV/atom. The spin magnetization comes out at 1.6000 μB/atom.

Entry 2:
Density functional theory data (GGA+U) for a relaxed structure of SrLaMn2O5.

Geometry as CIF:
```
data_SrLaMn2O5
_chemical_formula_sum 'Sr2 La2 Mn4 O10'
_space_group_name_H-M_alt 'P 1'
_space_group_IT_number 1
_cell_length_a 5.495
_cell_length_b 5.638
_cell_length_c 9.142
_cell_angle_alpha 107.84
_cell_angle_beta 107.42
_cell_angle_gamma 90.25
loop_
_space_group_symop_operation_xyz
'x,y,z'
loop_
_atom_site_label
_atom_site_fract_x
_atom_site_fract_y
_atom_site_fract_z
Sr1 0.000 0.000 0.000
Sr2 0.276 0.275 0.551
La1 0.508 0.467 0.999
La2 0.784 0.743 0.552
Mn1 0.164 0.680 0.275
Mn2 0.384 0.874 0.776
Mn3 0.679 0.075 0.276
Mn4 0.884 0.374 0.776
O1 0.052 0.021 0.275
O2 0.125 0.118 0.759
O3 0.150 0.632 0.800
O4 0.211 0.698 0.506
O5 0.508 0.081 0.045
O6 0.555 0.714 0.275
O7 0.625 0.106 0.751
O8 0.641 0.633 0.791
O9 0.738 0.311 0.505
O10 0.981 0.467 0.046
```

The value obtained for the energy above the most stable polymorph in this dataset is 0.08 eV/f.u. Its MP2020-corrected energy is -149.32 eV/cell. Its crystal system is triclinic. As for the formation enthalpy at 0 K: -2.774 eV/atom. The spin magnetization comes out at 0.0771 μB/atom.

Entry 3:
Density functional theory data (GGA+U) for a relaxed structure of Mg2Cr5P6O24.

Geometry as CIF:
```
data_Mg2Cr5P6O24
_chemical_formula_sum 'Mg2 Cr5 P6 O24'
_space_group_name_H-M_alt 'P -1'
_space_group_IT_number 2
_cell_length_a 6.375
_cell_length_b 8.001
_cell_length_c 9.418
_cell_angle_alpha 105.41
_cell_angle_beta 108.27
_cell_angle_gamma 101.12
loop_
_space_group_symop_operation_xyz
'x,y,z'
'-x,-y,-z'
loop_
_atom_site_label
_atom_site_fract_x
_atom_site_fract_y
_atom_site_fract_z
Mg1 0.215 0.190 0.209
Cr1 0.117 0.541 0.389
Cr2 0.449 0.282 0.976
Cr3 0.500 0.000 0.500
P1 0.107 0.766 0.132
P2 0.274 0.852 0.734
P3 0.407 0.406 0.667
- - -

Brief >
What is needed: find the line further up that holds "data_SrLaMn2O5", then return that line and all lines after it there.

Reply >
data_SrLaMn2O5
_chemical_formula_sum 'Sr2 La2 Mn4 O10'
_space_group_name_H-M_alt 'P 1'
_space_group_IT_number 1
_cell_length_a 5.495
_cell_length_b 5.638
_cell_length_c 9.142
_cell_angle_alpha 107.84
_cell_angle_beta 107.42
_cell_angle_gamma 90.25
loop_
_space_group_symop_operation_xyz
'x,y,z'
loop_
_atom_site_label
_atom_site_fract_x
_atom_site_fract_y
_atom_site_fract_z
Sr1 0.000 0.000 0.000
Sr2 0.276 0.275 0.551
La1 0.508 0.467 0.999
La2 0.784 0.743 0.552
Mn1 0.164 0.680 0.275
Mn2 0.384 0.874 0.776
Mn3 0.679 0.075 0.276
Mn4 0.884 0.374 0.776
O1 0.052 0.021 0.275
O2 0.125 0.118 0.759
O3 0.150 0.632 0.800
O4 0.211 0.698 0.506
O5 0.508 0.081 0.045
O6 0.555 0.714 0.275
O7 0.625 0.106 0.751
O8 0.641 0.633 0.791
O9 0.738 0.311 0.505
O10 0.981 0.467 0.046
```

The value obtained for the energy above the most stable polymorph in this dataset is 0.08 eV/f.u. Its MP2020-corrected energy is -149.32 eV/cell. Its crystal system is triclinic. As for the formation enthalpy at 0 K: -2.774 eV/atom. The spin magnetization comes out at 0.0771 μB/atom.

Entry 3:
Density functional theory data (GGA+U) for a relaxed structure of Mg2Cr5P6O24.

Geometry as CIF:
```
data_Mg2Cr5P6O24
_chemical_formula_sum 'Mg2 Cr5 P6 O24'
_space_group_name_H-M_alt 'P -1'
_space_group_IT_number 2
_cell_length_a 6.375
_cell_length_b 8.001
_cell_length_c 9.418
_cell_angle_alpha 105.41
_cell_angle_beta 108.27
_cell_angle_gamma 101.12
loop_
_space_group_symop_operation_xyz
'x,y,z'
'-x,-y,-z'
loop_
_atom_site_label
_atom_site_fract_x
_atom_site_fract_y
_atom_site_fract_z
Mg1 0.215 0.190 0.209
Cr1 0.117 0.541 0.389
Cr2 0.449 0.282 0.976
Cr3 0.500 0.000 0.500
P1 0.107 0.766 0.132
P2 0.274 0.852 0.734
P3 0.407 0.406 0.667